It came way too close to being a reality.
It came way too close to being a reality.
Those are typical business suits for dragon-oriented royals in pretend times. I see no issue.
Yeah, she’s gotten a bit better but she’s never been a more than passable sketch comedian. She still smiles too much, sounds the same, acts the same in every sketch.
It is so rare these days to actually LOL at anything. Thanks for that.
I’ve seen this (delightful) gif a dozen times if I’ve seen it once but I’m getting old and my brain is going ... Grizzly Adams, or Robert Redford?
It’s not like Diana Wynne Jones languished in obscurity (one of her books became a Studio Ghibli movie!!!) but I wish more people would read Witch Week: for me, always and forever the best YA book about a magical boarding school.
It was a Force Ghost (that’s from Star Trek, right?)
The Heart Done Called Lori Loughlin, that’s why she’s coming back.
Wow, I didn’t even think about his Putin!!!!! They’ll have to bring him back for that in future. Nobody else can do it.
Alas Beck without Mooney=awesome, Mooney without Beck=no thanks.
I hope so, he’s the best. I want to keep seeing him in stuff.
Except in Lake Wobegon.
I don’t think it has anything to do with eugenics, but it’s an unnecessary dig, for sure.
I am more than happy to suspend disbelief on the two-day versus one-day thing.
That’s really weird that she would do that. I read the book, and the mean-spirited stuff about the critic stuck out like a sore thumb (even more so now it seems she had someone specific in mind). Same with JK Rowling’s brutal treatment of aspiring writers in one of her detective novels. It’s like, you’re wildly…
+++
Entry 1:
{
  "formula": "C30H87N3O12",
  "method": "ωB97M-V/def2-TZVPD",
  "species": ["C", "O", "C", "C", "C", "N", "H", "H", "H", "H", "H", "H", "H", "H", "H", "H", "H", "C", "O", "C", "C", "C", "N", "H", "H", "H", "H", "H", "H", "H", "H", "H", "H", "H", "C", "O", "C", "C", "C", "N", "H", "H", "H", "H", "H", "H", "H", "H", "H", "H", "H", "C", "C", "C", "O", "H", "H", "H", "H", "H", "H", "H", "H", "C", "C", "C", "O", "H", "H", "H", "H", "H", "H", "H", "H", "C", "C", "C", "O", "H", "H", "H", "H", "H", "H", "H", "H", "C", "C", "C", "O", "H", "H", "H", "H", "H", "H", "H", "H", "C", "C", "C", "O", "H", "H", "H", "H", "H", "H", "H", "H", "C", "C", "C", "O", "H", "H", "H", "H", "H", "H", "H", "H", "O", "H", "H", "O", "H", "H", "O", "H", "H"],
+++
Truly the jewel in life’s crown.
A famous example was an SAT question that incorporated the word “regatta.” If you happened to be an upper middle class WASP you’d probably know that word. If you came from a different background you might answer the question incorrectly because of it. That’s only one example but I guarantee there were others.
I have nothing against Kenny G as a person, but I clicked on the link for “Going Home,” and as soon as the ad ended and the music started I started to feel near-rage-level irritation. I think it’s because what he plays is essentially elevator music that is or certainly was piped into places like the dentist’s office…
I never thought about that but you’re totally right. It’s just layers of different dude perspectives to get to the kernel of what, as AmaltheaElanor points out, is a very passive female character. I still love parts of that movie, especially Inigo Montoya, but it definitely promoted the then-prevalent idea that the…
I can’t somehow see them promoting the new season by addressing the allegations against Horatio Sanz.